I just want to remind those of you who might have forgotten that Serenity opens this weekend in a theater near you!
This would be that "career" thing I've heard so much about...
I just want to remind those of you who might have forgotten that Serenity opens this weekend in a theater near you!
I think when I was a kid "making the bed" had something to do with getting my allowance, so I think for the most part I tried to keep it together most days. Then college happened, and who has time to make the bed between classes, studying, lithography studio time, theater rehearsals, and the occasional party? And then I moved in with a guy who in most respects is pretty neat... in some respects is pretty neat, so it sort of got deprioritized.
"I want to be more intellectual. You read history and symbolic logic. All I do is sit around and eat smores."
I can't believe it's been 9 months since we moved into our place.
## Next to the piece, the page also holds quantum chemistry results
'''
(a)
This record from the OMol25 dataset describes an isolated molecule of C2H7NO2Si. The level of theory is ωB97M-V/def2-TZVPD.

Structure (XYZ):
```
13
C2H7NO2Si, DFT ωB97M-V/def2-TZVPD
C 2.25 0.26 -0.89
C 1.04 -0.23 -0.16
O 0.84 -1.39 0.06
O 0.06 0.66 -0.09
Si -1.54 0.32 0.32
N -2.00 -0.76 -0.99
H 2.81 -0.72 -1.21
H 1.71 0.79 -1.68
H 2.84 0.96 -0.25
H -2.03 1.70 0.35
H -1.47 -0.49 1.46
H -1.18 -0.82 -1.53
H -2.70 -0.66 -1.61
```

**Orbital gap**: 10.797 eV
**Structure (SMILES)**: CC(=O)O[SiH2]N

Atom charges from the Löwdin analysis, given in e for atoms 1 to 8: 0.0078 -0.6630 0.0744 -0.1773 0.5742 -0.0528 0.1317 0.0867

=====

(b)
This record from the OMol25 dataset describes a cluster of 2 separate species, C2H7NO2Si in total. The level of theory is ωB97M-V/def2-TZVPD.

Structure (XYZ):
```
13
C2H7NO2Si, DFT ωB97M-V/def2-TZVPD
C -0.32 -1.60 0.37
C 0.21 -0.27 0.12
N 1.54 -0.02 0.00
O 2.35 -0.92 0.01
O 1.78 1.17 -0.16
Si -0.65 1.51 0.06
H -1.37 -1.88 0.11
H -0.47 -1.84 1.49
H 0.47 -2.25 -0.10
H -0.84 0.44 -2.06
H -2.12 1.05 0.49
H -0.17 2.39 1.09
H -0.42 2.22 -1.41
```

**Orbital gap (alpha / beta)**: 8.362 / 7.916 eV

Atom charges from the Löwdin analysis, given in e for atoms 1 to 8: -0.1018 -0.3571 -0.4586 0.0775 -0.0347 0.6012 0.0959 0.1276

=====

It is (b) that is the least stable of them.

=====

(a)
This record from the OMol25 dataset describes an isolated molecule of C10H10N2O2. The level of theory is ωB97M-V/def2-TZVPD.

Structure (XYZ):
```
24
C10H10N2O2, DFT ωB97M-V/def2-TZVPD
H 0.15 -2.89 -1.82
N 0.24 -1.84 -1.58
C -0.79 -1.23 -1.20
C -0.95 0.07 -0.63
C -2.16 0.77 -0.74
C -2.39 1.97 -0.10
C -1.28 2.55 0.48
C -0.06 2.02 0.54
C 0.16 0.70 0.08
C 1.23 -0.15 0.33
C 1.34 -1.27 1.18
N 0.39 -1.88 1.91
C 2.47 0.31 -0.30
O 3.23 1.09 0.19
O 2.75 -0.33 -1.56
H -1.72 -1.76 -1.49
H -2.84 0.26 -1.32
H -3.40 2.38 -0.03
H -1.54 3.56 1.01
H 0.81 2.36 1.11
H 2.23 -1.77 1.12
H 0.68 -2.35 2.73
H -0.57 -1.53 1.98
H 2.01 -1.04 -1.91
```

**Orbital gap**: 7.795 eV
**Structure (SMILES)**: [H]/N=C/c1ccccc1/C(=C\N)C(=O)O

Atom charges from the Löwdin analysis, given in e for atoms 1 to 8: 0.1231 0.0897 -0.2159 -0.1324 -0.0311 -0.0777 -0.1079 -0.0076

=====

(b)
This record from the OMol25 dataset describes a cluster of 2 separate species, C10H10N2O2 in total. The level of theory is ωB97M-V/def2-TZVPD.

Structure (XYZ):
```
24
C10H10N2O2, DFT ωB97M-V/def2-TZVPD
O 2.88 2.35 -0.84
C 2.61 1.19 -0.56
C 3.46 0.48 0.46
C 3.04 -0.68 0.94
N 2.06 -1.45 0.40
C 1.29 -0.92 -0.70
O 0.42 -1.60 -1.27
N 1.56 0.35 -1.06
H 4.29 1.09 0.87
H 3.53 -1.25 1.77
H 1.94 -2.42 0.59
H 0.84 0.78 -1.70
C -3.05 0.12 -1.08
C -3.26 1.22 -0.21
C -2.68 1.19 1.11
C -1.71 0.11 1.31
C -1.42 -0.92 0.40
C -2.21 -0.93 -0.72
H -3.47 0.03 -2.06
H -3.82 2.08 -0.58
H -2.84 1.93 1.89
H -1.02 0.08 2.21
H -0.42 -1.42 0.64
H -2.02 -1.41 -1.81
```

**Orbital gap**: 9.534 eV
**Structure (SMILES)**: O=c1cc[nH]c(=O)[nH]1.c1ccccc1
'''
## End of the quantum chemistry results
If you haven't been visiting, you should check out my sister's blog - she's documenting her travels through China.
Technically I guess I'm supposed to be at a film festival that day, but come on. JB? SPF? Little Q, you are in China so I suspect not... Louie? T$?
-- Data records, kept here for reference --
┌──
Molecular formula: C25H25N5OV
Method: DFT, ωB97M-V/def2-TZVPD

Calculated values
Multiplicity: 3
Lowest unoccupied orbital energy (alpha / beta): -11.32 / -10.99 eV
Kohn-Sham gap (alpha / beta): 5.161 / 5.492 eV
Largest force on an atom: 1.30 eV Å⁻¹
ΔE to the lowest compared entry with this formula, charge and spin: 7.0 kcal/mol
Charge: +3
⟨S²⟩: 2.01

Each line ends with the Mulliken spin population.
Cartesian coordinates (Å):
1 C 0.9475 1.8313 1.5757  0.011
2 C -4.6177 -2.7223 -0.7502  0.000
3 H 0.2827 3.3715 4.4980  0.000
4 C -4.4638 -0.2477 -0.4683  0.003
5 H -5.8676 -6.6021 -1.2833  0.000
6 H -5.5188 -4.9214 -3.0068  0.000
7 C -2.3798 0.8412 -0.0680  0.005
8 C 2.5350 1.5495 -2.3063  -0.009
9 H 2.9398 1.3841 -3.2950  0.000
10 H 2.5531 3.7666 0.2611  0.001
11 C 1.7712 0.5740 -1.6938  0.049
12 C 1.6015 -2.6793 -3.6303  0.001
13 C -0.3425 1.3882 3.9581  0.000
14 C -2.6210 -4.2531 -3.1707  0.000
15 H -0.8591 1.1901 4.8869  0.000
16 H -4.3407 -3.2053 -3.9154  0.000
17 H -5.3113 -5.5347 -0.0052  0.000
18 O -5.3271 -2.9354 0.2115  -0.001
19 C 0.9632 2.8250 2.5320  -0.001
20 H -1.9950 -4.2993 -2.2743  0.000
21 N -4.5741 -3.4721 -1.8668  0.000
22 C 1.8563 -1.3297 -3.3953  0.002
23 C -2.4160 -1.4532 -0.4871  -0.018
24 H -3.2843 -2.2083 -2.9233  0.000
25 C -0.3054 0.4309 2.9624  0.011
26 C 2.3127 2.8858 -0.3180  0.000
27 H -5.5452 -0.2302 -0.5326  0.000
28 C -5.5056 -4.6065 -1.9651  0.000
29 H -6.5087 -4.2480 -1.7194  0.000
30 C 1.5337 1.8820 0.2279  0.037
31 H -4.2561 1.8587 -0.0603  0.000
32 N 1.2379 0.7693 -0.4724  -0.085
33 C 0.3009 2.6003 3.7384  0.004
34 C 0.7459 -2.8672 -1.4144  -0.016
35 H -3.0469 -5.2421 -3.3312  0.000
36 C -3.7216 -3.2026 -3.0165  0.000
37 H 3.3830 3.5103 -2.0735  0.000
38 C -3.7500 0.9129 -0.1941  -0.002
39 C -5.1838 -5.7860 -1.0537  0.000
40 N 0.9356 -1.5519 -1.2028  -0.023
41 V 0.1100 -0.6281 0.3332  2.106
42 H 2.3163 -0.7171 -4.1583  0.000
43 C 1.5204 -0.7967 -2.1684  -0.003
44 N 0.3187 0.6485 1.7936  -0.038
45 C 2.7913 2.7293 -1.6138  0.016
46 H -2.0003 -4.0199 -4.0379  0.000
47 H 0.3493 -3.4583 -0.5935  0.001
48 H 1.4688 3.7633 2.3506  0.000
49 H -1.7906 1.7265 0.1341  -0.006
50 H -0.7980 -0.5275 3.0995  -0.005
51 H 1.8343 -3.1151 -4.5935  0.000
52 H -1.8526 -2.3788 -0.5767  -0.005
53 N -1.7169 -0.3285 -0.1941  -0.018
54 C 1.0634 -3.4652 -2.6183  -0.009
55 H -4.1600 -6.1362 -1.2025  0.000
56 C -3.7836 -1.4558 -0.6514  -0.006
57 H 0.9053 -4.5250 -2.7619  0.000

***

Molecular formula: C25H25N8PdSe
Method: DFT, ωB97M-V/def2-TZVPD

Calculated values
Lowest unoccupied orbital energy (alpha / beta): -2.81 / -2.82 eV
Kohn-Sham gap (alpha / beta): 7.139 / 7.138 eV
Largest force on an atom: 0.55 eV Å⁻¹
ΔE to the lowest compared entry with this formula, charge and spin: 0.0 kcal/mol
Charge: +1

Each line ends with the Mulliken charge.
Cartesian coordinates (Å):
1 C 2.2671 -0.5342 1.9140  1.112
2 C 0.0759 4.3785 1.0403  -0.392
3 H 1.2287 1.1672 2.7299  0.324
4 H 3.8892 0.7244 2.4992  0.458
5 Se 0.0288 -2.1297 0.9016  -0.184
└──
There was a time when I thought I was going to be a physicist. This was a firm belief I held up until my first semester in college when I realized that in order to major (and, let's be honest, SUCCEED) in Physics, I would be forced to deal with Chemistry. Which I believed I hated. I believed this - I suspect - in part because of Mr. P, my high school chemistry teacher who hated teenagers, had a predictably short fuse, and liked to bean students with erasers, chalk, white board markers, and other small objects that were near to hand when the occasion warranted. I had never had a teacher who threw things at students before, but we must have had him at the height of his I'll-throw-things-at-my-students-when-I-damn-well-please phase because my semester with him was his last semester at our school. Ah, Mr. P.
I got a new skirt this past weekend. This is news because basically I only buy clothes for myself when I get gift cards as... gifts. Anyhow, wearing it at work, in our glassy freezer of a building, is only possible due to the small, portable heater tucked under my desk. But it's kind of nice to wear a skirty-skirt every once in a while and feel like a girly-girl.
I just remembered this from oh, let's say roughly 2 decades ago back in ABQ:
So I "finished" (I am starting to laugh whenever I even think about that word) the vampire script this morning. It was only a 2 1/2 hour rewrite, focusing on one small section, adding a line or two in two or three places, and tweaking the very last scene. I could be being optimistic, but the end seems to resonate a little more for me now.
I love the seasonal change from summer to fall. It feels like a new beginning. Yes, I know, I don't get summer vacations anymore, but I always reach the fall feeling ready to get started on something NEW. In that light, I'm getting ready to start a new project. It's not a creative writing project. It is something I've been thinking about trying for a long time now. I've got to polish up 2 scripts, hopefully both will be finished by this weekend, and then I am rededicating myself to doing something new for a while. Planning to let the "writer" rest for a moment, hopefully while my attention is turned elsewhere, more ideas will bubble around in the back of my head.
We were in New Mexico this weekend for a friend's wedding, and their hotel was across from the convention center. While we were there, the convention center was being prepared for some victims of the hurricane. I think they said as many as 5,000 may be temporarily housed in New Mexico. When JB and I donate money to help in times like these, it feels like the smallest possible thing we can do, and yet I don't know how else to help. I am still just stunned and horrified by the destruction, and my heart goes out to everyone touched by this tragedy.